Given:
=====
1.
## Cs2LiTlCl6 (PBE-GGA)

Data for Cs2LiTlCl6 after structural relaxation.

a b c (Å): 7.497 7.497 7.497
angles (deg): 60.00 60.00 60.00
Sites, in units of the cell vectors:
Cs  0.250  0.250  0.250
Cs  0.750  0.750  0.750
Li  0.000  0.000  0.000
Tl  0.500  0.500  0.500
Cl  0.251  0.251  0.749
Cl  0.251  0.749  0.251
Cl  0.251  0.749  0.749
Cl  0.749  0.251  0.251
Cl  0.749  0.251  0.749
Cl  0.749  0.749  0.251

## Properties
crystal system	cubic
ΔH_f (0 K)	-1827	meV per atom

2.
## Mg2PbO4 (PBE-GGA)

Data for Mg2PbO4 after structural relaxation.

a b c (Å): 5.363 9.773 3.187
angles (deg): 90.00 90.00 90.00
Sites, in units of the cell vectors:
Mg  0.054  0.183  0.000
Mg  0.446  0.683  0.000
Mg  0.554  0.317  0.000
Mg  0.946  0.817  0.000
Pb  0.000  0.500  0.500
Pb  0.500  0.000  0.500
O  0.174  0.703  0.500
O  0.235  0.953  0.000
O  0.265  0.453  0.000
O  0.326  0.203  0.500
O  0.674  0.797  0.500
O  0.735  0.547  0.000
O  0.765  0.047  0.000
O  0.826  0.297  0.500

## Properties
crystal system	orthorhombic
ΔH_f (0 K)	-2208	meV per atom

3.
## AlHg3O2F6 (PBE-GGA)

Data for AlHg3O2F6 after structural relaxation.

a b c (Å): 5.535 5.535 5.535
angles (deg): 84.12 84.12 84.12
Sites, in units of the cell vectors:
Al  0.000  0.000  0.000
Hg  0.000  0.500  0.500
Hg  0.500  0.000  0.500
Hg  0.500  0.500  0.000
O  0.374  0.374  0.374
O  0.626  0.626  0.626
F  0.135  0.785  0.785
F  0.215  0.215  0.865
F  0.215  0.865  0.215
F  0.785  0.135  0.785
F  0.785  0.785  0.135
F  0.865  0.215  0.215

## Properties
crystal system	trigonal
ΔH_f (0 K)	-2071	meV per atom

4.
## TeI4 (PBE-GGA)

Data for TeI4 after structural relaxation.

a b c (Å): 17.423 7.548 15.189
angles (deg): 90.00 90.00 90.00
Sites, in units of the cell vectors:
Te  0.000  0.231  0.000
Te  0.000  0.250  0.532
Te  0.140  0.245  0.266
Te  0.360  0.755  0.766
Te  0.500  0.750  0.032
Te  0.500  0.769  0.500
Te  0.640  0.755  0.766
Te  0.860  0.245  0.266
I  0.000  0.011  0.183
I  0.000  0.478  0.351
I  0.000  0.482  0.864
I  0.000  0.994  0.665
I  0.119  0.021  0.933
I  0.119  0.457  0.602
I  0.126  0.474  0.105
I  0.127  0.013  0.426
I  0.246  0.015  0.190
I  0.248  0.471  0.341
I  0.252  0.529  0.841
I  0.254  0.985  0.690
I  0.373  0.987  0.926
I  0.374  0.526  0.605
I  0.381  0.543  0.102
I  0.381  0.979  0.433
I  0.500  0.006  0.165
I  0.500  0.518  0.364
I  0.500  0.522  0.851
I  0.500  0.989  0.683
I  0.619  0.543  0.102
I  0.619  0.979  0.433
I  0.626  0.526  0.605
I  0.627  0.987  0.926
I  0.746  0.985  0.690
I  0.748  0.529  0.841
I  0.752  0.471  0.341
I  0.754  0.015  0.190
I  0.873  0.013  0.426
I  0.874  0.474  0.105
I  0.881  0.021  0.933
I  0.881  0.457  0.602

## Properties
crystal system	orthorhombic
ΔH_f (0 K)	-423	meV per atom
energy above the lowest structure with this stoichiometry	0.01	eV per formula unit
=====
Request:
Count the lines further above that contain the word "Cl" and give the number alone.
Reply:
6